Alex could have been a millionaire. In 2009 when the cryptocurrency was still in diapers, and a lone PC could mine several coins a day, the self-described technology enthusiast goes into it for ‘fun.’
No one thought bitcoin would be big the Des Moines native said.
“I was using our computer hardware and mining,” said Alex who didn’t want his real Bitcoin Recovery Co. used. “If my wife knows, I’m dead.”
┌──
## VRhPb2O5 (PBE with a Hubbard U)

Data for a geometry-optimized VRhPb2O5 structure.

For the spin magnetization, the calculation gives 0.0 μB/cell. The total energy comes out at -6.323 eV per atom.

It has space group Cmc2_1 (No. 36), with a = 3.281 Å, b = 15.445 Å, c = 10.266 Å, α = 90.00°, β = 90.00° and γ = 90.00°. The inequivalent atoms are V at (0.000, 0.077, 0.000), Rh at (0.000, 0.301, 0.516), Pb at (0.000, 0.379, 0.174), Pb at (0.000, 0.388, 0.831), O at (0.000, 0.008, 0.859), O at (0.000, 0.152, 0.517), O at (0.000, 0.177, 0.140), O at (0.000, 0.182, 0.897) and O at (0.000, 0.476, 0.584).

* * * * *

Record 1
Entry from Alexandria via LeMat-Bulk: a relaxed PmNd3Sm2Er6 crystal (PBE).

The value obtained for the electronic total energy is -111.4 eV per cell. The calculation puts the energy of formation at 0.014 eV per atom. Its total moment is 0.00 μB/f.u.

The space group is C2/m (No. 12) and the conventional cell measures 6.222, 10.773 and 11.755 Å, with angles of 90.00, 100.12 and 90.00 degrees. The distinct sites, in fractional coordinates, are Pm at (0.000, 0.000, 0.000), Nd at (0.000, 0.167, 0.500), Nd at (0.000, 0.500, 0.500), Sm at (0.000, 0.333, 0.000), Er at (0.250, 0.000, 0.751) and Er at (0.250, 0.167, 0.249).

Record 2
Entry from Alexandria via LeMat-Bulk: a relaxed Pm4NdSm2Er crystal (PBE).

The value obtained for the electronic total energy is -138.7 eV per cell. The calculation puts the energy of formation at 0.388 eV per atom. Its total moment is 0.01 μB/f.u.

The space group is C2/c (No. 15) and the conventional cell measures 13.765, 13.375 and 6.911 Å, with angles of 90.00, 119.93 and 90.00 degrees. The distinct sites, in fractional coordinates, are Pm at (0.001, 0.246, 0.001), Pm at (0.247, 0.001, 0.469), Nd at (0.250, 0.250, 0.000), Sm at (0.000, 0.500, 0.000), Sm at (0.250, 0.250, 0.500) and Er at (0.000, 0.000, 0.000).

Record 3
Entry from Alexandria via LeMat-Bulk: a relaxed Pm2Nd2Sm4Er crystal (PBE).

The value obtained for the electronic total energy is -84.8 eV per cell. The calculation puts the energy of formation at 0.010 eV per atom. Its total moment is 0.00 μB/f.u.

The space group is C2/m (No. 12) and the conventional cell measures 18.991, 3.662 and 9.748 Å, with angles of 90.00, 115.60 and 90.00 degrees. The distinct sites, in fractional coordinates, are Pm at (0.147, 0.000, 0.166), Nd at (0.165, 0.500, 0.499), Sm at (0.018, 0.500, 0.830), Sm at (0.185, 0.000, 0.833) and Er at (0.000, 0.000, 0.500).

Record 4
Entry from Alexandria via LeMat-Bulk: a relaxed Pm2Nd3SmEr6 crystal (PBE).

The value obtained for the electronic total energy is -111.5 eV per cell. The calculation puts the energy of formation at 0.014 eV per atom. Its total moment is 0.00 μB/f.u.
└──
While Alex got better the bitcoin mining program used grew to gigabytes. “It kept on growing so I deleted it and backed up the encrypted walled file to my USB.” That memory stick held the unique ‘keys’ for thousands of bitcoins Alex had mined. “I figured that it’s offline so in case something happened to the computer, I still had a backup.”
== Materials data from another source follow ==
********
Record 1
Compound: La2TcMo
Source: Alexandria via LeMat-Bulk
Functional: PBE-GGA
Structure: optimized geometry Values from VASP.

Output
- magnetization (μB per formula unit) = 2.20
- excess energy over the best structure of this formula in the dataset (eV/atom) = 0.5960

Structure (Quantum ESPRESSO input):
```
&SYSTEM
  ibrav = 0, nat = 4, ntyp = 3
/
ATOMIC_SPECIES
La 138.91 La.upf
Tc 98.00 Tc.upf
Mo 95.94 Mo.upf
CELL_PARAMETERS angstrom
9.292 0.050 0.030
8.627 3.451 0.030
8.627 1.685 3.011
ATOMIC_POSITIONS angstrom
La 13.183 2.575 1.525
Tc 19.909 3.889 2.303
Mo 6.636 1.296 0.768
La 0.090 0.017 0.010
```

***

Record 2
Compound: LaTc2Mo
Source: Alexandria via LeMat-Bulk
Functional: PBE-GGA
Structure: optimized geometry Values from VASP.

Output
- uncorrected energy (eV for the cell shown) = -35.53
- magnetization (μB per formula unit) = 0.00

Structure (Quantum ESPRESSO input):
```
&SYSTEM
  ibrav = 0, nat = 4, ntyp = 3
/
ATOMIC_SPECIES
Tc 98.00 Tc.upf
Mo 95.94 Mo.upf
La 138.91 La.upf
CELL_PARAMETERS angstrom
3.175 0.000 0.000
0.000 3.175 0.000
0.000 0.000 7.479
ATOMIC_POSITIONS angstrom
Tc 0.000 0.000 4.154
Mo 1.587 1.587 5.609
La 1.587 1.587 1.870
Tc 0.000 0.000 7.065
```

***

Record 3
Compound: LaTcMo2
Source: Alexandria via LeMat-Bulk
Functional: PBE-GGA
Structure: optimized geometry Values from VASP.

Output
- magnetization (μB per formula unit) = 0.00
- excess energy over the best structure of this formula in the dataset (eV/atom) = 0.1925

Structure (Quantum ESPRESSO input):
```
&SYSTEM
  ibrav = 0, nat = 4, ntyp = 3
/
ATOMIC_SPECIES
La 138.91 La.upf
Mo 95.94 Mo.upf
Tc 98.00 Tc.upf
CELL_PARAMETERS angstrom
-3.123 4.589 -0.524
-3.399 1.177 4.260
5.261 -0.733 -1.695
ATOMIC_POSITIONS angstrom
La -0.700 1.663 2.217
Mo -6.419 5.674 3.677
Tc -0.562 3.369 -0.175
Mo -3.365 2.975 1.928
```

***

Record 4
Compound: La2TcMo
Source: Alexandria via LeMat-Bulk
Functional: PBE-GGA
Structure: optimized geometry Values from VASP.

Output
- magnetization (μB per formula unit) = 0.00
- excess energy over the best structure of this formula in the dataset (eV/atom) = 0.0000

Structure (Quantum ESPRESSO input):
```
&SYSTEM
  ibrav = 0, nat = 4, ntyp = 3
/
ATOMIC_SPECIES
Mo 95.94 Mo.upf
Tc 98.00 Tc.upf
La 138.91 La.upf
CELL_PARAMETERS angstrom
-1.209 -2.898 -0.832
0.659 -1.130 2.974
-8.336 2.657 2.857
ATOMIC_POSITIONS angstrom
Mo -4.637 1.478 1.589
Tc -6.091 -0.160 3.064
La -2.879 -1.184 1.963
La -7.784 2.481 2.668
```

***

Record 5
Compound: LaTc2Mo
Source: Alexandria via LeMat-Bulk
Functional: PBE-GGA
Structure: optimized geometry Values from VASP.

Output
- uncorrected energy (eV for the cell shown) = -34.84
- magnetization (μB per formula unit) = 0.00

Structure (Quantum ESPRESSO input):
```
&SYSTEM
  ibrav = 0, nat = 4, ntyp = 3
/
ATOMIC_SPECIES
Tc 98.00 Tc.upf
La 138.91 La.upf
Mo 95.94 Mo.upf
CELL_PARAMETERS angstrom
-1.091 2.925 3.441
-4.388 1.432 0.528
-2.513 -1.495 3.611
ATOMIC_POSITIONS angstrom
Tc -5.994 2.147 5.685
La -3.996 1.431 3.790
********
Alex remembered his wallet which bitcoin peaked at just under $1,000 in early 2014. “I put the USB in to try to access the file, but the jump-drive died,” he said.
Now, while the bitcoin price crashes through new milestones, Alex places his loss in the thousands. “Worst mistake of my life. Never back up anything on a cheap Chinese-made drive.”
Alex may be broke. But he’s not alone.
Of the over 16.6 million bitcoins in circulation, almost 4 million may be lost forever, according to new studies from digital forensics firm Chainalysis. The study, reported by Fortune, determined that somewhere between three and four million bitcoins are lost.
“It’s easy to lose cryptocurrency,” said Blockchain Center’s co-founder, Martin Davidson. “Bitcoin is a predetermined currency issuing system. There will just be 21 million bitcoins generated through 2140.”
When bitcoin’s value skyrocketed and started to increase almost daily, most people keeping their cryptocurrency keys in a web-based wallet began looking for better alternatives. If an online bitcoin service retains customers’ keys, the accounts are vulnerable to hackers and fraudsters. Experts started to suggest the safest way to protect the bankroll was to use a ‘hardware wallet.’
Looking like a fancy USB drive which stores bitcoin keys but allows transactions without key exposure, many began using ‘Trezor’ described as ‘bulletproof.’
Trezor’s security and safeguards work great. Until they don’t. What happens if you can’t remember your 24-word list which is generated during signup or forget the six-digit PIN? More than one person has been left hanging.
These materials data were left in the article by mistake.
┌──
1.
An optimized crystal structure of NaSbC, computed with PBE.

Lattice parameters (Å, degrees): 4.6179 4.3310 8.6641 90.00 101.32 90.00
Space group Pm (No. 6)
Unique sites:
Na1 0.0000 0.0000 0.0000 (multiplicity 1)
Na2 0.1393 0.5000 0.6336 (multiplicity 1)
Sb1 0.2194 0.5000 0.2763 (multiplicity 1)
Sb2 0.6535 0.0000 0.3197 (multiplicity 1)
C1 0.7776 0.0000 0.5712 (multiplicity 1)
C2 0.8766 0.0000 0.7170 (multiplicity 1)

Values from the calculation:
E_tot   -27.65 eV for the cell shown
ΔE to the lowest computed polymorph   18 meV per atom

2.
An optimized crystal structure of Na3SbC, computed with PBE.

Lattice parameters (Å, degrees): 4.9827 4.9827 4.9827 90.00 90.00 90.00
Space group Pm-3m (No. 221)
Unique sites:
Na1 0.0000 0.0000 0.5000 (multiplicity 3)
Sb1 0.5000 0.5000 0.5000 (multiplicity 1)
C1 0.0000 0.0000 0.0000 (multiplicity 1)

Values from the calculation:
E_tot   -13.48 eV for the cell shown

3.
An optimized crystal structure of NaSbC2, computed with PBE.

Lattice parameters (Å, degrees): 5.8819 5.8819 8.7210 90.00 90.00 90.00
Space group I-42d (No. 122)
Unique sites:
Na1 0.0000 0.0000 0.0000 (multiplicity 4)
Sb1 0.0000 0.0000 0.5000 (multiplicity 4)
C1 0.1912 0.2500 0.6250 (multiplicity 8)

Values from the calculation:
E_tot   -70.51 eV for the cell shown

4.
An optimized crystal structure of NaSb3C, computed with PBE.

Lattice parameters (Å, degrees): 5.3528 5.3528 5.3528 90.00 90.00 90.00
Space group Pm-3m (No. 221)
Unique sites:
Na1 0.0000 0.0000 0.0000 (multiplicity 1)
Sb1 0.0000 0.0000 0.5000 (multiplicity 3)
C1 0.5000 0.5000 0.5000 (multiplicity 1)

Values from the calculation:
E_tot   -12.35 eV for the cell shown
ΔE to the lowest computed polymorph   1339 meV per atom

5.
An optimized crystal structure of Na2TaSbC, computed with PBE.

Lattice parameters (Å, degrees): 6.2004 6.2004 3.8654 90.00 90.00 90.00
Space group P4/mmm (No. 123)
Unique sites:
Na1 0.0000 0.5000 0.0000 (multiplicity 2)
Ta1 0.0000 0.0000 0.0000 (multiplicity 1)
Sb1 0.5000 0.5000 0.5000 (multiplicity 1)
C1 0.0000 0.0000 0.5000 (multiplicity 1)

Values from the calculation:
E_tot   -21.53 eV for the cell shown

6.
An optimized crystal structure of NaSb2TeC, computed with PBE.

Lattice parameters (Å, degrees): 4.7387 4.7387 5.4114 90.00 90.00 90.00
Space group P4/mmm (No. 123)
Unique sites:
Na1 0.0000 0.0000 0.0000 (multiplicity 1)
Sb1 0.0000 0.5000 0.5000 (multiplicity 2)
Te1 0.5000 0.5000 0.0000 (multiplicity 1)
C1 0.5000 0.5000 0.5000 (multiplicity 1)

Values from the calculation:
E_tot   -18.32 eV for the cell shown
ΔE to the lowest computed polymorph   0 meV per atom

- The lowest E_tot belongs to which entry?
  NaSbC2
└──
Forget your backup seed and lose your Bitcoin — that’s the bad news. The worse news is the most frequently way people lose Bitcoins is not through hacking. It’s more common for persons to set up a wallet, buy Bitcoin and then lose access to it — either because their phone broke, the phone was lost or stolen, or somehow got reset to factory settings.
But if a person is hacked it is usually through phishing links. Equipped with your information, the phisher may try to log into all cryptocurrency exchanges or wallets or even try ‘social engineering.’
What if you do everything right. You secure your passwords. You store data in a safe place — offline. You do everything you can, and you STILL lose your bitcoins. Are you out of luck and into the poorhouse?
Not necessarily.
Mark Frauenfelder former columnist at WIRED and the originating editor in chief of MAKE journal, also co-founded the tech and culture site BoingBoing. Now Mark works as director of research at the Institute of the Future’s Blockchain Futures Lab, and he lost access one time. You can read the story of how he got his bitcoins back here.